The Myth of Israel’s Destabilizing Nuclear Weapons
Responding to an article by Miklos published in our print journal, this piece argues that Israel's nuclear weapons are not a destabilizing force in the Middle East.
This article is in response to T. Miklos' article, ‘Unraveling the Myth of Opacity: How Israel's Undeclared Nuclear Arsenal Destabilizes the Middle East’, which appeared in our Fall 2012 print edition.
In his 2012 article, Timothy Miklos contends that Israel’s nuclear capability has been a source of instability in the Middle East. In particular, Miklos asserts that Israel’s nuclear arsenal has failed to prevent conflict and encouraged other states to seek chemical and/or nuclear capabilities. However, the arguments set forth by Miklos can be construed as a misreading of the historical record and, consequently, do not stand up to close scrutiny. As a result, the argument that Israel’s nuclear capability is a source of regional instability remains unconvincing.
Miklos first cites the 1973 Yom Kippur War as evidence that Israel’s nuclear capability has been a source of regional instability. Miklos contends that even though Egypt and Syria were aware of Israel’s nuclear capability, they still decided to launch a military attack against the Jewish state. However, while the Yom Kippur War may provide evidence of the ineffectiveness of Israel’s nuclear deterrent, it does not provide evidence of Israel’s nuclear weapons causing regional instability. Egypt and Syria did not attack Israel because of the Jewish state’s nuclear capability; rather they attacked in spite of Israel’s nuclear arsenal. This is a critical difference, and demonstrates that the Yom Kippur War is not an example of Israel’s nuclear weapons driving regional instability. In fact, Israel’s nuclear weapons were irrelevant to the conflict except for limiting Egypt and Syria’s initial war aims.
The second argument presented by Miklos is that the pursuit of nuclear weapons by Saddam Hussein’s Iraq during the 1980s and early 1990s was a response to Israel’s nuclear weapons capability. In particular, Miklos contends that Iraq pursued the nuclear option in order to be able to participate in a large-scale war with Israel. This is, however, a weak assertion for a number of reasons.
First, during the 1980s, Iraq was preoccupied with fighting a large-scale war of attrition with Iran. Iraq was in no position to contemplate fighting Israel as well. Second, while viewing Iran as its principal rival and threat, Iraq has historically never been particularly threatened by Israel. Israel has never occupied Iraqi territory and only intervened against Iraq in 1981 in response to Iraq’s nuclear program. Similarly, in all of the Arab wars against Israel, Iraq played only a minor role. Instead the Persian Gulf remained Iraq’s principal area of strategic interest. This was most clearly demonstrated in 1980, when Iraq was at the height of its power and Saddam Hussein decided to invade Iran and not attack Israel.
• Misplaced calculated crystals:
18
Lattice="7.480 -7.502 0.000 7.480 7.502 0.000 0.000 0.000 5.001" Properties=species:S:1:pos:R:3 comment="Y5Er12Th | the Alexandria database | PBE | optimized geometry" final_energy_ev_per_atom=-5.22 delta_e_f_ev_per_atom=0.030 spacegroup="No. 65" pbc="T T T"
Y 0.000 0.000 0.000
Y 7.480 5.008 2.500
Y 7.480 2.471 0.000
Y 7.480 -2.471 0.000
Y 7.480 -5.008 2.500
Er 2.507 2.491 0.000
Er 4.975 2.495 2.500
Er 2.510 0.000 2.500
Er 2.507 -2.491 0.000
Er 5.004 0.000 0.000
Er 4.975 -2.495 2.500
Er 9.985 2.495 2.500
Er 9.956 0.000 0.000
Er 12.452 2.491 0.000
Er 12.450 0.000 2.500
Er 9.985 -2.495 2.500
Er 12.452 -2.491 0.000
Th 7.480 0.000 2.500

29
Lattice="0.000 7.834 7.834 7.834 0.000 7.834 7.834 7.834 0.000" Properties=species:S:1:pos:R:3 comment="Y16Er7Th6 | the Alexandria database | PBE | optimized geometry" final_energy_ev_per_atom=-5.89 delta_e_f_ev_per_atom=0.315 spacegroup="No. 225" pbc="T T T"
Y 10.322 5.347 5.347
Y 1.867 1.867 1.867
Y 5.968 5.968 1.867
Y 5.968 1.867 5.968
Y 5.347 5.347 5.347
Y 10.322 10.322 5.347
Y 10.322 5.347 10.322
Y 13.802 9.701 9.701
Y 1.867 5.968 5.968
Y 5.347 10.322 5.347
Y 5.347 5.347 10.322
Y 10.322 10.322 10.322
Y 9.701 13.802 9.701
Y 9.701 9.701 13.802
Y 13.802 13.802 13.802
Y 5.347 10.322 10.322
Er 0.000 0.000 0.000
Er 3.917 3.917 0.000
Er 3.917 0.000 3.917
Er 7.834 3.917 3.917
Er 0.000 3.917 3.917
Er 3.917 7.834 3.917
Er 3.917 3.917 7.834
Th 7.834 7.834 5.190
Th 7.834 5.190 7.834
Th 10.479 7.834 7.834
Th 5.190 7.834 7.834
Th 7.834 10.479 7.834
Th 7.834 7.834 10.479

11
Lattice="7.035 0.000 0.000 -3.518 6.093 0.000 0.000 0.000 8.481" Properties=species:S:1:pos:R:3 comment="YEr7Th3 | the Alexandria database | PBE | optimized geometry" final_energy_ev_per_atom=-5.30 delta_e_f_ev_per_atom=0.210 spacegroup="No. 156" pbc="T T T"
Y 0.000 0.000 0.000
Er -1.746 3.054 0.024
Er 1.750 1.010 2.875
Er 0.000 4.062 2.888
Er 1.746 3.054 0.024
Er 0.000 6.078 0.024
Er 5.285 1.010 2.875
Er 3.518 4.072 2.875
Th 0.000 2.036 5.680
Th -1.755 5.075 5.680
Th 1.755 5.075 5.680

8
Lattice="5.863 -6.633 0.000 5.863 6.633 0.000 0.000 0.000 3.364" Properties=species:S:1:pos:R:3 comment="Y3Er4Th | the Alexandria database | PBE | optimized geometry" final_energy_ev_per_atom=-5.19 delta_e_f_ev_per_atom=0.441 spacegroup="No. 65" pbc="T T T"
Y 0.000 0.000 0.000
Y 2.931 3.317 1.682
Y 2.931 -3.317 1.682
Er 5.863 3.305 0.000
Er 3.017 0.000 1.682
Er 8.708 0.000 1.682
Er 5.863 -3.305 0.000
Th 5.863 0.000 0.000

11
Lattice="-3.771 3.771 6.594 3.771 -3.771 6.594 3.771 3.771 -6.594" Properties=species:S:1:pos:R:3 comment="Y4Er6Th | the Alexandria database | PBE | optimized geometry" final_energy_ev_per_atom=-5.02 delta_e_f_ev_per_atom=0.494 spacegroup="No. 121" pbc="T T T"
Y 2.469 2.469 -1.033
Y 1.303 -1.303 7.627
Y 1.303 1.303 5.561
Y -1.303 1.303 7.627
Er 3.771 0.000 0.000
Er 1.988 -1.988 4.234
Er 1.783 1.783 2.360
Er 0.000 3.771 0.000
Er -1.988 1.988 4.234
Er 1.988 1.988 8.954
Th 0.000 0.000 0.000

14
The third argument posited by Miklos is that the existence of Israel’s nuclear capability drove Egypt, Syria and Iraq to possess chemical weapons, causing further regional instability. This argument is undermined in two ways. First, each of these states also faced many other significant regional threats at the time they pursued chemical weapons programs. In particular, Syria and Iraq were locked in an intense and long-standing rivalry with each other; Iraq was also threatened by neighbouring Iran, and Syria had fraught relations with Turkey.
Furthermore, both Egypt and Iraq subsequently used their chemical weapons capability against other actors but never against Israel. This would suggest that these threats were the most important factors driving these states to obtain chemical weapons, as opposed to Israel’s nuclear capability. To argue that Israel’s nuclear capability alone led Cairo, Damascus and Baghdad to acquire chemicals weapons is too simplistic.
Second, while Israel was undoubtedly a factor in the pursuit of chemical weapons by Egypt and Syria, this can be more readily understood as a reaction to Israel’s conventional military power and not its nuclear capability. At the time they achieved a chemical weapons capability, Egypt and Syria were deeply threatened by Israel’s conventional superiority which had consistently allowed the Jewish state to intervene against them and occupy their territory. In contrast, Israel’s nuclear weapons were not particularly threatening to Egypt and Syria, as the 1973 Yom Kippur War demonstrates. This is because Cairo and Damascus were fully aware that Israel’s nuclear arsenal was unusable, so long as they did not seek Israel’s destruction. It is far more credible to consider that the Egyptian and Syrian pursuit of chemical arsenals was partially motivated by their desire to deter Israel’s conventional military power, rather than in response to Israel’s nuclear monopoly.
<<<
Version w
This record from the Alexandria database describes a relaxed structure of PuCd2Pd8. The functional is PBE-GGA.

The value obtained for the density is 11.02 g/cm3.

The structure belongs to space group Amm2 (No. 38); the cell edges are 4.439, 10.724 and 8.357 Å and the angles 90.00°, 90.00° and 90.00°. The inequivalent atoms are Pu at (0.000, 0.000, 0.000), Cd at (0.500, 0.148, 0.502), Pd at (0.000, 0.000, 0.336), Pd at (0.000, 0.000, 0.664), Pd at (0.000, 0.250, 0.243), Pd at (0.500, 0.124, 0.173) and Pd at (0.500, 0.125, 0.831).

=====

Version x
This record from the Alexandria database describes a relaxed structure of PuCd2Pd8. The functional is PBE-GGA.

The value obtained for the density is 11.70 g/cm3.

The structure belongs to space group C2/m (No. 12); the cell edges are 14.596, 4.165 and 6.390 Å and the angles 90.00°, 105.33° and 90.00°. The inequivalent atoms are Pu at (0.000, 0.000, 0.000), Cd at (0.224, 0.500, 0.647), Pd at (0.042, 0.500, 0.724), Pd at (0.091, 0.000, 0.458), Pd at (0.138, 0.500, 0.183) and Pd at (0.180, 0.000, 0.912).

=====

The structure with the greatest stability is version x.

=====

Version w
This record from the Alexandria database describes a relaxed structure of PuCdPd6. The functional is PBE-GGA.

The value obtained for the density is 12.09 g/cm3.

The structure belongs to space group P4/mmm (No. 123); the cell edges are 4.105, 4.105 and 8.106 Å and the angles 90.00°, 90.00° and 90.00°. The inequivalent atoms are Pu at (0.000, 0.000, 0.000), Cd at (0.000, 0.000, 0.500), Pd at (0.000, 0.500, 0.250), Pd at (0.500, 0.500, 0.000) and Pd at (0.500, 0.500, 0.500).

=====

Version x
This record from the Alexandria database describes a relaxed structure of PuCdPd6. The functional is PBE-GGA.

The value obtained for the density is 12.07 g/cm3.

The structure belongs to space group P-6m2 (No. 187); the cell edges are 5.8224, 5.8224 and 4.6625 Å and the angles 90.00°, 90.00° and 120.00°. The inequivalent atoms are Pu at (0.0000, 0.0000, 0.0000), Cd at (0.3333, 0.6667, 0.5000), Pd at (0.3401, 0.1700, 0.5000) and Pd at (0.5018, 0.0036, 0.0000).

=====

The structure with the greatest stability is version w.

* * * * *

ZrSc2Cu2 PBEsol optimized geometry; DFT formation energy = -3.09 kcal/mol of atoms
1.0
3.309 0.000 0.000
0.000 7.373 0.000
0.000 0.000 7.373
Sc Cu Zr
4 4 2
Cartesian
1.654 1.232 4.918
1.654 4.918 6.141
1.654 6.141 2.455
1.654 2.455 1.232
0.000 2.766 6.452
0.000 6.452 4.607
0.000 4.607 0.921
0.000 0.921 2.766
0.000 0.000 0.000
0.000 3.687 3.687

* * * * *

First-principles (GGA+U) data for a relaxed BaFeI2O crystal, as listed in Alexandria.

Fermi-level density of states in states/eV per cell: 5.573
Offset from the most stable computed form in kJ/mol of atoms: 81.7
Size of the total moment in Bohr magnetons per cell: 4.66

abc: 6.7826 6.7826 4.5377
angles: 90.00 90.00 90.00
Space group P4/mmm (No. 123)
Asymmetric unit:
Ba  0.0000  0.0000  0.0000 x1
Fe  0.5000  0.5000  0.5000 x1
>>>
The final argument advanced by Miklos is that Israel’s failure to sign the NPT provides Iran with a further rationale to pursue its nuclear program and possible weaponization. However, Miklos also concedes that other threats are also likely to be more important in driving Tehran to pursue a nuclear capability; for instance, US and Arab hostility and Pakistan’s nuclear capability. Given the existence of these threats, it is questionable how effective Israel signing the NPT will be in making Iran abandon its nuclear program. After all, whether Israel signs the NPT or not, these threats to Iran will still remain in existence.
**Here the entry breaks off for records of crystals**
=====
A relaxed structure of CaTbCd6, computed with GGA-PBE.

Cell: 4.997 6.583 6.583 Å, 115.89 90.00 90.00°
Fractional positions:
Ca (0.500, 0.395, 0.605)
Tb (0.000, 0.104, 0.896)
Cd (0.000, 0.060, 0.381)
Cd (0.000, 0.619, 0.940)
Cd (0.000, 0.581, 0.419)
Cd (0.500, 0.435, 0.117)
Cd (0.500, 0.883, 0.565)
Cd (0.500, 0.923, 0.077)

Total magnetic moment in μB/f.u.: 0.00
SG: Amm2, No. 38
N(E_F) in states/eV/f.u.: 3.51
E in eV per formula unit: -14.3



A relaxed structure of CaTbCd, computed with GGA-PBE.

Cell: 5.489 5.489 6.828 Å, 90.00 90.00 119.47°
Fractional positions:
Ca (0.665, 0.335, 0.750)
Ca (0.335, 0.665, 0.250)
Cd (0.330, 0.670, 0.750)
Cd (0.670, 0.330, 0.250)
Tb (0.000, 0.000, 0.000)
Tb (0.000, 0.000, 0.500)

Total magnetic moment in μB/f.u.: 0.00
SG: Cmcm, No. 63
Distance to the lowest polymorph of the same formula in eV per atom: 0.046
N(E_F) in states/eV/f.u.: 5.24
E in eV per formula unit: -7.9



A relaxed structure of CaTb2Cd5, computed with GGA-PBE.

Cell: 5.123 5.123 8.533 Å, 107.47 107.47 90.00°
Fractional positions:
Ca (0.000, 0.000, 0.000)
Tb (0.738, 0.738, 0.476)
Tb (0.262, 0.262, 0.524)
Cd (0.500, 0.500, 0.000)
Cd (0.879, 0.379, 0.758)
Cd (0.379, 0.879, 0.758)
Cd (0.121, 0.621, 0.242)
Cd (0.621, 0.121, 0.242)

Total magnetic moment in μB/f.u.: 0.00
SG: I4/mmm, No. 139
N(E_F) in states/eV/f.u.: 5.04
E in eV per formula unit: -18.1

----------

# 1
VHgSb2 after structural relaxation, computed with PBE-GGA.

Output
- crystal system = tetragonal

Structure (CIF):
```
data_VHgSb2
_cell_length_a 3.3923
_cell_length_b 3.3923
_cell_length_c 8.5544
_cell_angle_alpha 90.00
_cell_angle_beta 90.00
_cell_angle_gamma 90.00
_space_group_name_H-M_alt 'P 4/m m m'
_space_group_IT_number 123
_space_group_name_Hall '-P 4 2'
loop_
_atom_site_label
_atom_site_type_symbol
_atom_site_fract_x
_atom_site_fract_y
_atom_site_fract_z
V1 V 0.0000 0.0000 0.0000
Hg1 Hg 0.0000 0.0000 0.5000
Sb1 Sb 0.5000 0.5000 0.1833
```

***

# 2
V2HgSb after structural relaxation, computed with PBE-GGA.

Output
- crystal system = tetragonal
- relative energy among the computed polymorphs (meV per atom) = 408.2

Structure (CIF):
```
data_V2HgSb
_cell_length_a 4.3448
_cell_length_b 4.3448
_cell_length_c 18.8078
_cell_angle_alpha 90.00
_cell_angle_beta 90.00
_cell_angle_gamma 90.00
_space_group_name_H-M_alt 'I -4 2 d'
_space_group_IT_number 122
_space_group_name_Hall 'I -4 2bw'
loop_
_atom_site_label
_atom_site_type_symbol
_atom_site_fract_x
_atom_site_fract_y
_atom_site_fract_z
V1 V 0.2302 0.2500 0.1250
Hg1 Hg 0.0000 0.0000 0.0000
Sb1 Sb 0.0000 0.0000 0.5000
```

***

| no. | raw formation energy (meV per atom) | DOS at the Fermi energy (states/eV/atom) |
| --- | --- | --- |
| 1 | 79 | 0.564 |
| 2 | 783 | 1.624 |
=====
As these arguments demonstrate, the claim that Israel’s nuclear arsenal has been a source of regional instability is a difficult one to maintain. In fact, whilst there are many factors behind the Middle East’s seemingly chronic instability, Israel’s nuclear deterrent cannot be counted among them.
Photo courtesy of Helga Tawil Souri via Flickr.